........
1.
CrO2 | PBE+U | optimized geometry

Geometry as POSCAR:
```
CrO2
1.0
6.9236 -1.4874 0.0000
6.9236 1.4874 0.0000
6.6040 0.0000 2.5564
O Cr
2 1
direct
0.3785 0.3785 0.3785 O
0.6215 0.6215 0.6215 O
0.0000 0.0000 0.0000 Cr
```

Computed properties:
**Crystal system**: trigonal
**Raw total energy**: -7.22 eV/atom
**V**: 17.6 Å³ per atom


2.
Li2CrSi4O10 | PBE+U | optimized geometry

Geometry as POSCAR:
```
Li2CrSi4O10
1.0
6.9397 0.0000 0.0000
-3.4095 6.8038 0.0000
-2.0315 -3.0029 9.0039
O Si Li Cr
20 8 4 2
direct
0.2671 0.6193 0.8734 O
0.1476 0.4578 0.1437 O
0.9922 0.7970 0.1941 O
0.0756 0.7812 0.7047 O
0.6590 0.8100 0.7421 O
0.3410 0.1900 0.2579 O
0.5832 0.1289 0.7485 O
0.7868 0.0770 0.9950 O
0.2132 0.9230 0.0050 O
0.5517 0.3541 0.5723 O
0.0078 0.2030 0.8059 O
0.5728 0.6213 0.1772 O
0.4168 0.8711 0.2515 O
0.7329 0.3807 0.1266 O
0.4272 0.3787 0.8228 O
0.4483 0.6459 0.4277 O
0.8819 0.6187 0.4085 O
0.1181 0.3813 0.5915 O
0.9244 0.2188 0.2953 O
0.8524 0.5422 0.8563 O
0.7576 0.0519 0.8157 Si
0.2424 0.9481 0.1843 Si
0.8070 0.6116 0.2384 Si
0.9023 0.2791 0.1462 Si
0.3969 0.6500 0.2591 Si
0.6031 0.3500 0.7409 Si
0.0977 0.7209 0.8538 Si
0.1930 0.3884 0.7616 Si
0.3821 0.2510 0.0519 Li
0.7771 0.3139 0.4288 Li
0.6179 0.7490 0.9481 Li
0.2229 0.6861 0.5712 Li
0.2383 0.2863 0.4290 Cr
0.7617 0.7137 0.5710 Cr
```

Computed properties:
**Crystal system**: triclinic
**Distance to the lowest polymorph of the same formula**: 0 meV/atom
**V**: 12.5 Å³ per atom


3.
HfFeO3 | PBE+U | optimized geometry

Geometry as POSCAR:
```
HfFeO3
1.0
-4.8270 -0.4707 -1.3635
0.2040 -5.2162 1.0785
-2.4906 1.6106 8.2609
Fe Hf O
4 4 12
direct
0.5000 0.5000 0.0000 Fe
0.5000 0.5000 0.5000 Fe
0.0000 0.0000 0.0000 Fe
0.0000 0.0000 0.5000 Fe
0.5445 0.0704 0.7500 Hf
0.4555 0.9296 0.2500 Hf
0.0445 0.4296 0.2500 Hf
0.9555 0.5704 0.7500 Hf
0.3222 0.4058 0.7500 O
0.6949 0.7992 0.8992 O
0.1949 0.7008 0.1008 O
0.3051 0.2008 0.3992 O
0.6778 0.5942 0.2500 O
0.3051 0.2008 0.1008 O
0.8051 0.2992 0.8992 O
0.1778 0.9058 0.7500 O
0.6949 0.7992 0.6008 O
0.1949 0.7008 0.3992 O
0.8222 0.0942 0.2500 O
0.8051 0.2992 0.6008 O
```

Computed properties:
**Crystal system**: orthorhombic
**Raw total energy**: -8.70 eV/atom
**V**: 11.8 Å³ per atom


4.
BaTm2CoO5 | PBE+U | optimized geometry

Geometry as POSCAR:
```
BaTm2CoO5
1.0
5.6986 0.0000 0.0000
0.0000 7.0474 0.0000
0.0000 0.0000 12.2288
Co O Tm Ba
4 20 8 4
direct
0.2500 0.8077 0.1524 Co
0.2500 0.6923 0.6524 Co
0.7500 0.3077 0.3476 Co
0.7500 0.1923 0.8476 Co
0.9982 0.3357 0.9342 O
0.5018 0.1643 0.4342 O
0.4996 0.1374 0.7246 O
0.7500 0.5791 0.3967 O
0.9996 0.8626 0.2754 O
0.5004 0.8626 0.2754 O
0.9982 0.1643 0.4342 O
0.0004 0.1374 0.7246 O
0.0018 0.8357 0.5658 O
0.4996 0.3626 0.2246 O
0.5004 0.6374 0.7754 O
0.0018 0.6643 0.0658 O
0.7500 0.9209 0.8967 O
0.2500 0.0791 0.1033 O
0.9996 0.6374 0.7754 O
0.2500 0.4209 0.6033 O
0.4982 0.6643 0.0658 O
0.0004 0.3626 0.2246 O
0.4982 0.8357 0.5658 O
0.5018 0.3357 0.9342 O
0.7500 0.9018 0.4255 Tm
0.7500 0.6195 0.2085 Tm
0.2500 0.0982 0.5745 Tm
0.2500 0.1195 0.2915 Tm
0.2500 0.4018 0.0745 Tm
0.7500 0.8805 0.7085 Tm
0.2500 0.3805 0.7915 Tm
0.7500 0.5982 0.9255 Tm
0.2500 0.9208 0.8994 Ba
0.7500 0.4208 0.6006 Ba
0.7500 0.0792 0.1006 Ba
0.2500 0.5792 0.3994 Ba
```

Computed properties:
**Crystal system**: orthorhombic
**Raw total energy**: -7.31 eV/atom
**V**: 13.6 Å³ per atom


5.
U3W2O17F2 | PBE+U | optimized geometry

Geometry as POSCAR:
```
U3W2O17F2
1.0
8.5787 6.9246 0.0000
-8.5787 6.9246 0.0000
0.0000 5.7636 8.2159
O U F W
34 6 4 4
direct
0.6320 0.1248 0.6363 O
0.6920 0.3988 0.6453 O
0.3080 0.6012 0.3547 O
0.8430 0.8430 0.9269 O
0.0962 0.8058 0.3391 O
0.1227 0.4075 0.1467 O
0.1570 0.1570 0.0731 O
0.6156 0.6156 0.2638 O
0.8647 0.3749 0.8214 O
0.1101 0.3690 0.8448 O
0.6012 0.3080 0.3547 O
0.9038 0.1942 0.6609 O
0.5925 0.8773 0.8533 O
0.4075 0.1227 0.1467 O
0.6081 0.1103 0.9112 O
0.3749 0.8647 0.8214 O
0.8773 0.5925 0.8533 O
0.3680 0.8752 0.3637 O
0.1942 0.9038 0.6609 O
0.6310 0.8899 0.1552 O
........
Could you duplicate the contents further up exactly?
1.
CrO2 | PBE+U | optimized geometry

Geometry as POSCAR:
```
CrO2
1.0
6.9236 -1.4874 0.0000
6.9236 1.4874 0.0000
6.6040 0.0000 2.5564
O Cr
2 1
direct
0.3785 0.3785 0.3785 O
0.6215 0.6215 0.6215 O
0.0000 0.0000 0.0000 Cr
```

Computed properties:
**Crystal system**: trigonal
**Raw total energy**: -7.22 eV/atom
**V**: 17.6 Å³ per atom


2.
Li2CrSi4O10 | PBE+U | optimized geometry

Geometry as POSCAR:
```
Li2CrSi4O10
1.0
6.9397 0.0000 0.0000
-3.4095 6.8038 0.0000
-2.0315 -3.0029 9.0039
O Si Li Cr
20 8 4 2
direct
0.2671 0.6193 0.8734 O
0.1476 0.4578 0.1437 O
0.9922 0.7970 0.1941 O
0.0756 0.7812 0.7047 O
0.6590 0.8100 0.7421 O
0.3410 0.1900 0.2579 O
0.5832 0.1289 0.7485 O
0.7868 0.0770 0.9950 O
0.2132 0.9230 0.0050 O
0.5517 0.3541 0.5723 O
0.0078 0.2030 0.8059 O
0.5728 0.6213 0.1772 O
0.4168 0.8711 0.2515 O
0.7329 0.3807 0.1266 O
0.4272 0.3787 0.8228 O
0.4483 0.6459 0.4277 O
0.8819 0.6187 0.4085 O
0.1181 0.3813 0.5915 O
0.9244 0.2188 0.2953 O
0.8524 0.5422 0.8563 O
0.7576 0.0519 0.8157 Si
0.2424 0.9481 0.1843 Si
0.8070 0.6116 0.2384 Si
0.9023 0.2791 0.1462 Si
0.3969 0.6500 0.2591 Si
0.6031 0.3500 0.7409 Si
0.0977 0.7209 0.8538 Si
0.1930 0.3884 0.7616 Si
0.3821 0.2510 0.0519 Li
0.7771 0.3139 0.4288 Li
0.6179 0.7490 0.9481 Li
0.2229 0.6861 0.5712 Li
0.2383 0.2863 0.4290 Cr
0.7617 0.7137 0.5710 Cr
```

Computed properties:
**Crystal system**: triclinic
**Distance to the lowest polymorph of the same formula**: 0 meV/atom
**V**: 12.5 Å³ per atom


3.
HfFeO3 | PBE+U | optimized geometry

Geometry as POSCAR:
```
HfFeO3
1.0
-4.8270 -0.4707 -1.3635
0.2040 -5.2162 1.0785
-2.4906 1.6106 8.2609
Fe Hf O
4 4 12
direct
0.5000 0.5000 0.0000 Fe
0.5000 0.5000 0.5000 Fe
0.0000 0.0000 0.0000 Fe
0.0000 0.0000 0.5000 Fe
0.5445 0.0704 0.7500 Hf
0.4555 0.9296 0.2500 Hf
0.0445 0.4296 0.2500 Hf
0.9555 0.5704 0.7500 Hf
0.3222 0.4058 0.7500 O
0.6949 0.7992 0.8992 O
0.1949 0.7008 0.1008 O
0.3051 0.2008 0.3992 O
0.6778 0.5942 0.2500 O
0.3051 0.2008 0.1008 O
0.8051 0.2992 0.8992 O
0.1778 0.9058 0.7500 O
0.6949 0.7992 0.6008 O
0.1949 0.7008 0.3992 O
0.8222 0.0942 0.2500 O
0.8051 0.2992 0.6008 O
```

Computed properties:
**Crystal system**: orthorhombic
**Raw total energy**: -8.70 eV/atom
**V**: 11.8 Å³ per atom


4.
BaTm2CoO5 | PBE+U | optimized geometry

Geometry as POSCAR:
```
BaTm2CoO5
1.0
5.6986 0.0000 0.0000
0.0000 7.0474 0.0000
0.0000 0.0000 12.2288
Co O Tm Ba
4 20 8 4
direct
0.2500 0.8077 0.1524 Co
0.2500 0.6923 0.6524 Co
0.7500 0.3077 0.3476 Co
0.7500 0.1923 0.8476 Co
0.9982 0.3357 0.9342 O
0.5018 0.1643 0.4342 O
0.4996 0.1374 0.7246 O
0.7500 0.5791 0.3967 O
0.9996 0.8626 0.2754 O
0.5004 0.8626 0.2754 O
0.9982 0.1643 0.4342 O
0.0004 0.1374 0.7246 O
0.0018 0.8357 0.5658 O
0.4996 0.3626 0.2246 O
0.5004 0.6374 0.7754 O
0.0018 0.6643 0.0658 O
0.7500 0.9209 0.8967 O
0.2500 0.0791 0.1033 O
0.9996 0.6374 0.7754 O
0.2500 0.4209 0.6033 O
0.4982 0.6643 0.0658 O
0.0004 0.3626 0.2246 O
0.4982 0.8357 0.5658 O
0.5018 0.3357 0.9342 O
0.7500 0.9018 0.4255 Tm
0.7500 0.6195 0.2085 Tm
0.2500 0.0982 0.5745 Tm
0.2500 0.1195 0.2915 Tm
0.2500 0.4018 0.0745 Tm
0.7500 0.8805 0.7085 Tm
0.2500 0.3805 0.7915 Tm
0.7500 0.5982 0.9255 Tm
0.2500 0.9208 0.8994 Ba
0.7500 0.4208 0.6006 Ba
0.7500 0.0792 0.1006 Ba
0.2500 0.5792 0.3994 Ba
```

Computed properties:
**Crystal system**: orthorhombic
**Raw total energy**: -7.31 eV/atom
**V**: 13.6 Å³ per atom


5.
U3W2O17F2 | PBE+U | optimized geometry

Geometry as POSCAR:
```
U3W2O17F2
1.0
8.5787 6.9246 0.0000
-8.5787 6.9246 0.0000
0.0000 5.7636 8.2159
O U F W
34 6 4 4
direct
0.6320 0.1248 0.6363 O
0.6920 0.3988 0.6453 O
0.3080 0.6012 0.3547 O
0.8430 0.8430 0.9269 O
0.0962 0.8058 0.3391 O
0.1227 0.4075 0.1467 O
0.1570 0.1570 0.0731 O
0.6156 0.6156 0.2638 O
0.8647 0.3749 0.8214 O
0.1101 0.3690 0.8448 O
0.6012 0.3080 0.3547 O
0.9038 0.1942 0.6609 O
0.5925 0.8773 0.8533 O
0.4075 0.1227 0.1467 O
0.6081 0.1103 0.9112 O
0.3749 0.8647 0.8214 O
0.8773 0.5925 0.8533 O
0.3680 0.8752 0.3637 O
0.1942 0.9038 0.6609 O
0.6310 0.8899 0.1552 O